Page 86 of Too Late

I laugh and lift up on my elbow. “Not really,” I say quietly. “You shot Asa’s gun out of his hand and then I ran over to you and put pressure on your wound until the paramedics got there. I’d say it was a mutual save.”

He tries to force a smile. “I told you I wasn’t very good at my job,” he says.

I smile in wholehearted agreement. “It’s not too late to quit, you know. You could go back to school and become a Spanish teacher.”

He winces with his laugh. “That’s not a bad idea, Sloan.”

He struggles to lean forward in order to kiss me, but it takes everything in him. He’s only six centimeters away.

A mere six centimeters between breath and life.

When I close that six-centimeter gap and kiss him, I know I’m closing a chapter. A really dark chapter that I’ve been waiting more than two years to end.

## Someone pasted materials data at this point
<<<
# 1
Here is a geometry-optimized Sb6S2O15 structure from Materials Project. Energies are from PBE.

Values from the calculation:
- ρ: 4843 kg/m³
- Total energy: -0.4431 Ry/atom
- Symmetry: Ccc2

a = 11.4181 Å, b = 11.4181 Å, c = 5.9638 Å
α = 90.00°, β = 90.00°, γ = 114.15°
Fractional positions:
Sb (0.1193, 0.7029, 0.8752)
Sb (0.8807, 0.2971, 0.8752)
Sb (0.2971, 0.8807, 0.3752)
Sb (0.7029, 0.1193, 0.3752)
Sb (0.3754, 0.2431, 0.3966)
Sb (0.6246, 0.7569, 0.3966)
Sb (0.7569, 0.6246, 0.8966)
Sb (0.2431, 0.3754, 0.8966)
Sb (0.9574, 0.8267, 0.5098)
Sb (0.0426, 0.1733, 0.5098)
Sb (0.1733, 0.0426, 0.0098)
Sb (0.8267, 0.9574, 0.0098)
S (0.7848, 0.4755, 0.3373)
S (0.2152, 0.5245, 0.3373)
S (0.5245, 0.2152, 0.8373)
S (0.4755, 0.7848, 0.8373)
O (0.6603, 0.4847, 0.3292)
O (0.3397, 0.5153, 0.3292)
O (0.5153, 0.3397, 0.8292)
O (0.4847, 0.6603, 0.8292)
O (0.7729, 0.3421, 0.2823)
O (0.2271, 0.6579, 0.2823)
O (0.6579, 0.2271, 0.7823)
O (0.3421, 0.7729, 0.7823)
O (0.8698, 0.5617, 0.1502)
O (0.1302, 0.4383, 0.1502)
O (0.4383, 0.1302, 0.6502)
O (0.5617, 0.8698, 0.6502)
O (0.0000, 0.0000, 0.1586)
O (0.0000, 0.0000, 0.6586)
O (0.7589, 0.7611, 0.1204)
O (0.2411, 0.2389, 0.1204)
O (0.2389, 0.2411, 0.6204)
O (0.7611, 0.7589, 0.6204)
O (0.0508, 0.2572, 0.8288)
O (0.9492, 0.7428, 0.8288)
O (0.7428, 0.9492, 0.3288)
O (0.2572, 0.0508, 0.3288)
O (0.8279, 0.1561, 0.1075)
O (0.1721, 0.8439, 0.1075)
O (0.8439, 0.1721, 0.6075)
O (0.1561, 0.8279, 0.6075)
O (0.8524, 0.5185, 0.5533)
O (0.1476, 0.4815, 0.5533)
O (0.4815, 0.1476, 0.0533)
O (0.5185, 0.8524, 0.0533)

# 2
Here is a geometry-optimized Y4Ni structure from Materials Project. Energies are from PBE.

Values from the calculation:
- ρ: 4480 kg/m³
- Total energy: -0.4470 Ry/atom
- Symmetry: Fd-3m

a = 7.5733 Å, b = 7.5733 Å, c = 7.5733 Å
α = 60.00°, β = 60.00°, γ = 60.00°
Fractional positions:
Y (0.3868, 0.3868, 0.3868)
Y (0.3868, 0.3868, 0.8396)
Y (0.3868, 0.8396, 0.3868)
Y (0.8632, 0.8632, 0.4104)
Y (0.8632, 0.8632, 0.8632)
Y (0.8396, 0.3868, 0.3868)
Y (0.8632, 0.4104, 0.8632)
Y (0.4104, 0.8632, 0.8632)
Ni (0.0000, 0.0000, 0.0000)
Ni (0.2500, 0.2500, 0.2500)

# 3
Here is a geometry-optimized KNaLi2S2O8 structure from Materials Project. Energies are from PBE.

Values from the calculation:
- ρ: 2338 kg/m³
- Total energy: -0.4234 Ry/atom
- Symmetry: P2_12_12_1

a = 4.9986 Å, b = 7.8812 Å, c = 19.3323 Å
α = 90.00°, β = 90.00°, γ = 90.00°
Fractional positions:
K (0.4976, 0.9434, 0.5727)
K (0.9976, 0.5566, 0.4273)
K (0.5024, 0.4434, 0.9273)
K (0.0024, 0.0566, 0.0727)
Na (0.0152, 0.2493, 0.2762)
Na (0.9848, 0.7493, 0.2238)
Na (0.4848, 0.7507, 0.7762)
Na (0.5152, 0.2507, 0.7238)
Li (0.0048, 0.7437, 0.9112)
Li (0.5048, 0.7563, 0.0888)
Li (0.9952, 0.2437, 0.5888)
Li (0.4952, 0.2563, 0.4112)
Li (0.0357, 0.0993, 0.8594)
Li (0.5357, 0.4007, 0.1406)
Li (0.9643, 0.5993, 0.6406)
Li (0.4643, 0.9007, 0.3594)
S (0.9672, 0.4679, 0.7932)
S (0.5328, 0.5321, 0.2932)
S (0.4672, 0.0321, 0.2068)
S (0.0328, 0.9679, 0.7068)
S (0.0079, 0.5482, 0.0593)
>>>
## The materials data stop here

And this kiss is just the beginning of a whole new book. A book where maybe miracles aren’t that far-fetched.



Isit up straight and open my eyes. Not that I was sleeping. No one could sleep in this goddamn place. I clench my fists, wondering why it’s just now hitting me. She didn’t sayharder. She saidCarter! “Fucking whore!”



Itap lightly on the door to his hospital room, but no one responds. When I push it open and peek inside, Luke is asleep. The volume to the TV is low, but audible. I glance over to the couch and Ryan is lying on his side, a ball cap covering his eyes. He’s asleep, too.

I hold the door while it closes, not wanting to wake either of them, but Ryan hears me and sits up on the couch. He stretches his arms over his head and yawns, then stands up.

“Hey,” he says. “You gonna be here awhile?”

I nod. “I’ll probably stay here tonight,” I whisper. “You go get some rest.”

He glances over at Luke again and says, “The doctor came by earlier. Says he’ll get to go home tomorrow, but he’ll need someone to stay with him for a while. He’s on strict bed rest. I would offer, but I’m sure he’d rather you do it.”

I set my purse down on the couch. “It’s fine. I can stay with him if he’s okay with it.”

“I’m perfectly okay with that,” Luke says from his bed. I glance in his direction and he’s smiling at me lazily.

Ryan laughs and says, “I’ll stop by in the morning after my meeting with Young.”

Luke nods and then motions for me. “Come here.”

I walk toward him as Ryan leaves the room. Just like every other time I visit him, he scoots over and makes room for me to lie with him.

I wrap my leg over his and my arm over his chest, resting my head on his shoulder.

“How’s your brother?” he asks.

“Good,” I say. “Really good. You’ll have to go with me soon if you’re up for it. He kept looking up at the door like you were going to show up, so I know he was disappointed that you weren’t with me.”

I feel the light laughter in Luke’s chest. “I tried to sneak out and go with you today, but someone is being overprotective.”

I shake my head. “You got shot in the chest, Luke. You almost died. I’m not taking any chances.” I lift my head from his shoulder. “Speaking of taking chances, what exactly did the doctor say about your release tomorrow? Bed rest? No strenuous activity?”

He runs a hand through my hair and smiles at me. “What if I told you he said plenty of bed restandstrenuous activity?”

“I’d call you a liar.”